What to do >
Could you write out the notes further down without additions?

Input >
/*
DFT (wB97M-V/def2-TZVPD) results for 2 unconnected molecules or ions with the total composition C2HBr2ClF2 at a distorted geometry.

The geometry in XYZ format:
```
8
Properties=species:S:1:pos:R:3:nbo_charge:R:1
C -0.211 0.644 -0.345 0.08
C 3.667 0.250 -0.469 0.07
F -0.584 1.413 -1.472 -0.34
F 3.838 0.487 -1.780 -0.35
Cl 1.190 -0.150 -0.602 0.14
Br 4.130 -1.466 0.038 0.12
Br 4.252 1.746 0.560 0.08
H -0.435 0.881 0.772 0.20
```

Its HOMO energy (alpha / beta) is -8.58 / -8.62 eV. The energy comes out at -5884.59217 Eh. Its spin multiplicity is 1. For the HOMO-LUMO gap (alpha / beta), the calculation gives 8.448 / 7.916 eV. The calculation puts the LUMO energy (alpha / beta) at -0.13 / -0.70 eV.

DFT (wB97M-V/def2-TZVPD) results for 2 unconnected molecules or ions with the total composition C2HBr2FO at a distorted geometry.

The geometry in XYZ format:
```
7
Properties=species:S:1:pos:R:3:nbo_charge:R:1
C 0.991 0.250 0.093 0.24
C -0.125 -0.639 0.121 0.23
O 1.488 0.714 1.089 -0.48
F -0.819 -0.611 1.298 -0.31
Br -2.476 1.793 -0.624 0.01
Br -0.499 -2.033 -0.988 0.17
H 1.439 0.527 -0.988 0.13
```

Its HOMO energy (alpha / beta) is -10.45 / -9.14 eV. The energy comes out at -5399.81822 Eh. Its spin multiplicity is 1. For the HOMO-LUMO gap (alpha / beta), the calculation gives 8.917 / 5.229 eV. The calculation puts the LUMO energy (alpha / beta) at -1.54 / -3.91 eV.

DFT (wB97M-V/def2-TZVPD) results for a molecular structure, C2HBr2N3 at a distorted geometry.

The geometry in XYZ format:
```
8
Properties=species:S:1:pos:R:3:nbo_charge:R:1
C 1.080 -0.019 -0.336 0.13
C -0.712 -0.002 -0.224 -0.17
N 1.441 -0.018 0.851 -0.30
N -0.756 -0.009 1.181 -0.19
N 0.326 -0.023 1.726 0.06
Br -1.544 -1.576 -0.976 0.13
Br -1.421 1.647 -0.956 0.12
H 1.587 0.000 -1.266 0.22
```

Its HOMO energy is -10.46 eV. The energy comes out at -5388.99577 Eh. Its spin multiplicity is 1. For the HOMO-LUMO gap, the calculation gives 9.334 eV. The calculation puts the LUMO energy at -1.13 eV.

DFT (wB97M-V/def2-TZVPD) results for 2 unconnected molecules or ions with the total composition C2HBr3S.

The geometry in XYZ format:
```
7
Properties=species:S:1:pos:R:3:nbo_charge:R:1
Br 2.335 1.094 1.808 -0.03
S 3.178 0.503 -0.114 0.06
Br 1.766 1.237 -1.603 -0.03
C -2.362 -0.141 0.017 -0.24
C -1.535 -1.007 -0.014 -0.20
Br -0.288 -2.293 -0.172 0.20
H -3.094 0.607 0.079 0.24
```

Its HOMO energy is -9.18 eV. The energy comes out at -8196.94758 Eh. Its structure (SMILES) is BrSBr.C#CBr. Its spin multiplicity is 1. For the HOMO-LUMO gap, the calculation gives 8.280 eV. The calculation puts the LUMO energy at -0.90 eV.

DFT (wB97M-V/def2-TZVPD) results for a molecular structure, C2HBr4ClO2S at a distorted geometry.

The geometry in XYZ format:
```
11
Properties=species:S:1:pos:R:3:nbo_charge:R:1
C 0.309 -1.093 -0.589 -0.40
C -0.498 -0.223 0.182 -0.52
O 1.321 1.158 1.484 -0.86
O 0.836 1.644 -0.943 -0.89
S 0.392 1.404 0.413 2.04
Cl -1.033 2.719 0.931 -0.13
Br -0.644 -2.914 -0.986 0.00
Br 1.978 -1.500 0.189 0.15
Br -1.921 0.349 -0.927 0.14
Br -1.136 -0.658 1.906 0.18
H 0.396 -0.886 -1.661 0.29
```

Its HOMO energy is -10.28 eV. The energy comes out at -11381.65894 Eh. Its spin multiplicity is 1. For the HOMO-LUMO gap, the calculation gives 9.134 eV. The calculation puts the LUMO energy at -1.15 eV.

DFT (wB97M-V/def2-TZVPD) results for 2 unconnected molecules or ions with the total composition C2HBrN2O2 at a distorted geometry.

The geometry in XYZ format:
```
8
Properties=species:S:1:pos:R:3:nbo_charge:R:1
C 0.278 -0.556 1.356 0.16
C -0.174 -0.473 0.014 -0.07
N 0.634 -0.613 2.441 -0.18
N -0.250 0.888 -0.554 0.47
O 0.773 1.528 -0.517 -0.33
O -1.257 1.212 -1.115 -0.34
Br -1.630 -1.382 -0.638 0.29
H 1.628 -0.604 -0.987 0.00
```
*/

Done >
DFT (wB97M-V/def2-TZVPD) results for 2 unconnected molecules or ions with the total composition C2HBr2ClF2 at a distorted geometry.

The geometry in XYZ format:
```
8
Properties=species:S:1:pos:R:3:nbo_charge:R:1
C -0.211 0.644 -0.345 0.08
C 3.667 0.250 -0.469 0.07
F -0.584 1.413 -1.472 -0.34
F 3.838 0.487 -1.780 -0.35
Cl 1.190 -0.150 -0.602 0.14
Br 4.130 -1.466 0.038 0.12
Br 4.252 1.746 0.560 0.08
H -0.435 0.881 0.772 0.20
```

Its HOMO energy (alpha / beta) is -8.58 / -8.62 eV. The energy comes out at -5884.59217 Eh. Its spin multiplicity is 1. For the HOMO-LUMO gap (alpha / beta), the calculation gives 8.448 / 7.916 eV. The calculation puts the LUMO energy (alpha / beta) at -0.13 / -0.70 eV.

DFT (wB97M-V/def2-TZVPD) results for 2 unconnected molecules or ions with the total composition C2HBr2FO at a distorted geometry.

The geometry in XYZ format:
```
7
Properties=species:S:1:pos:R:3:nbo_charge:R:1
C 0.991 0.250 0.093 0.24
C -0.125 -0.639 0.121 0.23
O 1.488 0.714 1.089 -0.48
F -0.819 -0.611 1.298 -0.31
Br -2.476 1.793 -0.624 0.01
Br -0.499 -2.033 -0.988 0.17
H 1.439 0.527 -0.988 0.13
```

Its HOMO energy (alpha / beta) is -10.45 / -9.14 eV. The energy comes out at -5399.81822 Eh. Its spin multiplicity is 1. For the HOMO-LUMO gap (alpha / beta), the calculation gives 8.917 / 5.229 eV. The calculation puts the LUMO energy (alpha / beta) at -1.54 / -3.91 eV.

DFT (wB97M-V/def2-TZVPD) results for a molecular structure, C2HBr2N3 at a distorted geometry.

The geometry in XYZ format:
```
8
Properties=species:S:1:pos:R:3:nbo_charge:R:1
C 1.080 -0.019 -0.336 0.13
C -0.712 -0.002 -0.224 -0.17
N 1.441 -0.018 0.851 -0.30
N -0.756 -0.009 1.181 -0.19
N 0.326 -0.023 1.726 0.06
Br -1.544 -1.576 -0.976 0.13
Br -1.421 1.647 -0.956 0.12
H 1.587 0.000 -1.266 0.22
```

Its HOMO energy is -10.46 eV. The energy comes out at -5388.99577 Eh. Its spin multiplicity is 1. For the HOMO-LUMO gap, the calculation gives 9.334 eV. The calculation puts the LUMO energy at -1.13 eV.

DFT (wB97M-V/def2-TZVPD) results for 2 unconnected molecules or ions with the total composition C2HBr3S.

The geometry in XYZ format:
```
7
Properties=species:S:1:pos:R:3:nbo_charge:R:1
Br 2.335 1.094 1.808 -0.03
S 3.178 0.503 -0.114 0.06
Br 1.766 1.237 -1.603 -0.03
C -2.362 -0.141 0.017 -0.24
C -1.535 -1.007 -0.014 -0.20
Br -0.288 -2.293 -0.172 0.20
H -3.094 0.607 0.079 0.24
```

Its HOMO energy is -9.18 eV. The energy comes out at -8196.94758 Eh. Its structure (SMILES) is BrSBr.C#CBr. Its spin multiplicity is 1. For the HOMO-LUMO gap, the calculation gives 8.280 eV. The calculation puts the LUMO energy at -0.90 eV.

DFT (wB97M-V/def2-TZVPD) results for a molecular structure, C2HBr4ClO2S at a distorted geometry.

The geometry in XYZ format:
```
11
Properties=species:S:1:pos:R:3:nbo_charge:R:1
C 0.309 -1.093 -0.589 -0.40
C -0.498 -0.223 0.182 -0.52
O 1.321 1.158 1.484 -0.86
O 0.836 1.644 -0.943 -0.89
S 0.392 1.404 0.413 2.04
Cl -1.033 2.719 0.931 -0.13
Br -0.644 -2.914 -0.986 0.00
Br 1.978 -1.500 0.189 0.15
Br -1.921 0.349 -0.927 0.14
Br -1.136 -0.658 1.906 0.18
H 0.396 -0.886 -1.661 0.29
```

Its HOMO energy is -10.28 eV. The energy comes out at -11381.65894 Eh. Its spin multiplicity is 1. For the HOMO-LUMO gap, the calculation gives 9.134 eV. The calculation puts the LUMO energy at -1.15 eV.

DFT (wB97M-V/def2-TZVPD) results for 2 unconnected molecules or ions with the total composition C2HBrN2O2 at a distorted geometry.

The geometry in XYZ format:
```
8
Properties=species:S:1:pos:R:3:nbo_charge:R:1
C 0.278 -0.556 1.356 0.16
C -0.174 -0.473 0.014 -0.07
N 0.634 -0.613 2.441 -0.18
N -0.250 0.888 -0.554 0.47
O 0.773 1.528 -0.517 -0.33
O -1.257 1.212 -1.115 -0.34
Br -1.630 -1.382 -0.638 0.29
H 1.628 -0.604 -0.987 0.00
```